• Contents:
~~~
Nd4MnNi3O12: computed X-ray powder pattern (λ = 1.5418 Å (Cu Kα)), based on DFT lattice parameters and positions (GGA+U).
Peak positions follow from Bragg's law for the DFT cell and can differ from measured ones.

Top 10 peaks for 2θ from 10° to 90°, in order of falling intensity:
2θ (°)  I (rel.)  hkl
32.67  100  1 1 -2
58.67  36  2 0 -4
32.97  33  2 0 0
32.78  32  1 1 2
32.22  28  0 2 0
47.07  20  0 0 4
22.89  17  1 -1 0
46.71  15  2 -2 0
46.83  15  2 2 0
40.60  14  2 0 2

Lattice parameters (Å, degrees): 5.434 5.557 7.722 90.22 90.06 90.14
Space group P-1 (No. 2)
Inequivalent atoms, fractional coordinates:
Nd  0.011  0.446  0.248 (multiplicity 2)
Nd  0.487  0.950  0.248 (multiplicity 2)
Mn  0.500  0.500  0.500 (multiplicity 1)
Ni  0.000  0.000  0.000 (multiplicity 1)
Ni  0.000  0.000  0.500 (multiplicity 1)
Ni  0.500  0.500  0.000 (multiplicity 1)
O  0.083  0.981  0.756 (multiplicity 2)
O  0.205  0.715  0.044 (multiplicity 2)
O  0.216  0.701  0.457 (multiplicity 2)
O  0.284  0.205  0.044 (multiplicity 2)
O  0.300  0.216  0.455 (multiplicity 2)
O  0.419  0.481  0.743 (multiplicity 2)

* * * * *

[1]
Starting from DFT lattice parameters and positions (PBE), the XRD peak list of Li6AgPd8 was computed for Cu Ka.

Structural model:
Cell: 9.3181 9.3181 2.8306 Å, 90.00 90.00 120.00°
Space group P-3 (No. 147)
Unique sites:
Li 0.0957 0.6126 0.2744
Ag 0.0000 0.0000 0.5000
Pd 0.0900 0.3189 0.2060
Pd 0.3333 0.6667 0.7683

Largest 10 diffraction maxima, by angle, 2θ = 10–90°:
hkl 1 0 0, 2θ 10.96, intensity 35
hkl 2 0 0, 2θ 22.03, intensity 33
hkl 3 0 0, 2θ 33.31, intensity 35
hkl 1 1 1, 2θ 37.17, intensity 37
hkl 2 2 0, 2θ 38.65, intensity 41
hkl 2 0 1, 2θ 38.86, intensity 100
hkl 1 3 0, 2θ 40.30, intensity 59
hkl 1 2 1, 2θ 43.62, intensity 24
hkl 5 -3 1, 2θ 59.68, intensity 23
hkl 5 2 0, 2θ 73.25, intensity 24

***

[2]
Starting from DFT lattice parameters and positions (PBE), the XRD peak list of RbCoAsCl6 was computed for Cu Ka.

Structural model:
Cell: 6.502 11.264 7.409 Å, 90.00 90.27 90.00°
Space group C2 (No. 5)
Unique sites:
Rb 0.000 0.000 0.000
Co 0.000 0.668 0.500
As 0.000 0.334 0.500
Cl 0.121 0.504 0.693
Cl 0.180 0.811 0.690
Cl 0.194 0.185 0.691

Largest 10 diffraction maxima, by angle, 2θ = 10–90°:
hkl 0 0 1, 2θ 11.95, intensity 36
hkl 1 1 1, 2θ 19.80, intensity 100
hkl 2 0 0, 2θ 27.43, intensity 12
hkl 2 0 -1, 2θ 30.01, intensity 29
hkl 0 4 1, 2θ 34.06, intensity 15
hkl 2 0 -2, 2θ 36.71, intensity 29
hkl 1 3 2, 2θ 36.83, intensity 45
hkl 3 1 -1, 2θ 44.27, intensity 23
hkl 0 6 0, 2θ 48.50, intensity 24
hkl 1 3 -4, 2θ 57.18, intensity 10

***

[3]
Starting from DFT lattice parameters and positions (PBE), the XRD peak list of Si7SnN10 was computed for Cu Ka.

Structural model:
Cell: 6.850 6.829 9.750 Å, 90.00 106.11 90.00°
Space group Pc (No. 7)
Unique sites:
Si 0.000 0.024 0.000
Si 0.125 0.364 0.667
Si 0.308 0.379 0.985
Si 0.573 0.402 0.750
Si 0.759 0.383 0.059
Si 0.818 0.025 0.693
Si 0.947 0.369 0.363
Sn 0.450 0.002 0.343
N 0.021 0.135 0.646
N 0.164 0.415 0.501
N 0.200 0.162 0.998
N 0.350 0.372 0.808
N 0.541 0.427 0.111
N 0.623 0.166 0.710
N 0.751 0.498 0.900
N 0.776 0.130 0.039
N 0.903 0.118 0.346
N 0.961 0.461 0.199

Largest 10 diffraction maxima, by angle, 2θ = 10–90°:
hkl 1 1 -1, 2θ 19.23, intensity 36
hkl 0 1 2, 2θ 23.03, intensity 44
hkl 1 1 -2, 2θ 23.90, intensity 57
hkl 0 2 0, 2θ 26.10, intensity 75
hkl 1 0 2, 2θ 26.24, intensity 56
hkl 1 1 2, 2θ 29.37, intensity 69
hkl 2 1 0, 2θ 30.15, intensity 52
hkl 2 1 -2, 2θ 31.45, intensity 100
hkl 2 0 2, 2θ 37.52, intensity 49
hkl 1 1 -4, 2θ 39.36, intensity 44

***

[4]
Starting from DFT lattice parameters and positions (PBE), the XRD peak list of Ce8Sb4Pb3 was computed for Cu Ka.

Structural model:
Cell: 12.756 12.762 8.974 Å, 90.00 134.66 90.00°
Space group C2/m (No. 12)
Unique sites:
Ce 0.000 0.248 0.000
Ce 0.000 0.248 0.500
Ce 0.246 0.000 0.494
Ce 0.246 0.000 0.997
Sb 0.000 0.000 0.000
Sb 0.000 0.000 0.500
Sb 0.250 0.250 0.500
Pb 0.000 0.500 0.500
Pb 0.250 0.250 0.000
~~~
• Request:
Write out every line above that contains the word "Peak".
• Done:
Peak positions follow from Bragg's law for the DFT cell and can differ from measured ones.